Friday Wrap-Up – and Vitamin Advice Needed

Yesterday was another Fabulous Friday, and I had the day (mostly) off from work. I started out being very responsible and went to get some blood work done. I have never gotten in and out that quickly, it was great. Then I did a little bit of work…we get Fridays off right now, but if something important comes in, we are supposed to take care of it if we can. A good part of our team is in India, so if I waited until Monday to do these things, they wouldn’t be able to move forward until Tuesday. After I finished with that, Mulder and I had a lovely walk to one of our favorite parks in the area.

There are still roses in bloom, which are lovely.

• The text is interrupted by calculated molecules:
┌──
Density functional theory data (wB97M-V/def2-TZVPD) for C20H55AgN7O11 as an isolated structure.

Calculated values
charge	0
⟨S²⟩	0.757
multiplicity	2
relative energy (zero: lowest compared OMol25 entry of this formula, charge and spin)	0.0	kcal/mol

Last column: Mulliken charge in e.
Positions of all 94 atoms, in Å:
Ag  1.534  3.195  -1.327  0.4213
N  0.723  0.492  -0.235  0.8614
O  0.659  -0.708  0.009  -0.5557
O  0.602  1.376  0.663  -0.7737
O  0.876  0.906  -1.439  -0.3691
N  2.349  4.580  1.686  0.9719
O  2.484  3.801  0.716  -0.5374
O  1.289  4.651  2.360  -0.5328
O  3.252  5.334  1.989  -0.5640
C  1.617  -3.275  -1.357  -1.2046
C  2.718  -4.320  -1.522  0.8752
C  2.507  -5.489  -0.605  -0.8695
O  2.836  -5.189  0.731  -0.2207
C  3.078  -6.330  1.492  -0.8489
N  2.876  -4.729  -2.924  -0.7440
H  1.744  -2.449  -2.048  0.2682
H  1.565  -3.011  -0.302  0.1342
H  0.621  -3.729  -1.474  0.2922
H  3.612  -3.744  -1.232  0.1268
H  3.113  -6.327  -0.992  0.4134
H  1.478  -5.877  -0.687  0.3470
H  4.123  -6.672  1.497  0.3201
H  2.434  -7.173  1.219  0.3717
H  2.887  -6.110  2.548  0.2238
H  2.678  -3.940  -3.526  0.2396
H  3.832  -5.016  -3.095  0.2631
C  -2.087  0.734  3.331  -1.1890
C  -1.938  2.265  3.257  0.3710
C  -2.566  2.941  4.459  -0.9714
O  -2.372  4.320  4.344  -0.2479
C  -3.396  5.067  4.943  -0.7722
N  -0.502  2.500  3.328  0.2254
H  -3.124  0.436  3.115  0.4633
H  -1.867  0.349  4.322  0.2955
H  -1.563  0.276  2.491  0.2853
H  -2.426  2.602  2.348  0.3538
H  -2.260  2.524  5.428  0.3651
H  -3.643  2.706  4.415  0.4222
H  -3.412  6.069  4.530  0.2443
H  -3.240  5.126  6.033  0.3030
H  -4.392  4.606  4.889  0.3202
H  -0.024  2.040  2.523  0.2047
H  -0.073  2.027  4.149  0.3006
C  1.798  1.107  -4.308  -1.4236
C  1.400  2.519  -4.698  0.5307
C  0.459  2.528  -5.889  -1.0138
O  -0.807  2.102  -5.467  -0.1686
C  -1.726  1.856  -6.517  -0.7349
N  0.773  3.230  -3.557  -0.4165
H  2.497  1.211  -3.470  0.2729
H  2.366  0.617  -5.100  0.5377
H  0.995  0.472  -3.947  0.1414
H  2.294  3.033  -5.057  0.3988
H  0.860  1.912  -6.710  0.4618
H  0.357  3.533  -6.341  0.3982
H  -1.206  1.344  -7.334  0.3440
H  -2.211  2.777  -6.875  0.2925
H  -2.546  1.259  -6.118  0.1055
H  0.591  4.171  -3.941  0.2796
H  -0.227  2.956  -3.546  0.1427
C  0.320  -1.634  5.619  -1.4979
C  1.343  -0.558  5.352  0.3881
C  1.941  -0.592  3.970  -0.3636
O  2.700  -1.768  3.816  -0.4134
C  3.208  -1.877  2.509  -0.2359
N  0.751  0.777  5.587  -0.6036
H  0.789  -2.613  5.491  0.3801
H  -0.491  -1.649  4.881  0.2637
H  -0.175  -1.581  6.590  0.3799
H  2.238  -0.726  5.974  0.2575
H  2.572  0.294  3.779  0.4013
H  1.193  -0.610  3.159  0.0525
H  3.561  -2.885  2.313  0.1682
H  4.034  -1.158  2.411  0.3263
H  2.458  -1.633  1.747  -0.0642
H  1.487  1.498  5.587  0.3009
H  0.516  0.853  6.582  0.2360
C  -4.348  0.820  -2.648  -1.5380
C  -2.946  0.396  -2.174  0.6508
C  -2.353  -0.889  -2.677  -0.2919
O  -3.299  -1.915  -2.520  -0.3754
C  -3.376  -2.842  -3.558  -0.7133
└──

This park has two ponds. The one at the top of my post is a little wilder, and has a lot of birds. I’ve seen a river otter there, and turtles, and deer wandering by. There are ducks, geese, coots, and lots of other animals wandering around. Then there is a more manicured lake, with fountains and a playground nearby. It was at this little lake where we met Larry. According to the caretaker we ran into, Larry is a Muscovy duck. They are not common here. He showed up mysteriously during the COVID lockdown, and he was obviously a pet. His wings were clipped, and he was tame, would let you pet him and take food from your hands. The caretaker guesses that his people had to move or someone died or something, so he was dropped off at the park. He is doing very well there, and his wings have grown in enough that he can fly now.

I like this little sign in the children’s garden.

After our walk, I got cleaned up and ran a couple of errands. I finished my errands at a small local pharmacy, where I got my second Shingles vaccine. They have a little tree where you can pick a tag and buy a gift for a local foster youth. I tend to buy for the older kids. I intended to pick one child, but after I had picked my 16 year old (who wants an Amazon gift card), I came across a tag for a 13 year old who is requesting ‘good daily vitamins’. That hurt. So I took her tag as well. Any idea what a ‘good’ daily vitamin would be? I only know one-a-day, and I know they have some that are formulated for teens. But if someone here knows of why I should not buy that, and what to buy instead, please let me know.
Today is a beautiful rainy Saturday. I’m doing well after my vaccine, though not feeling fabulous. Mulder is having a bit of a rough day, too. So we’re laying low. I wrapped some gifts for my far away family, and wrote out a couple of Christmas Cards (and I do mean a couple…2) and then plopped down on the sofa to take it easy. Looks like it’s chicken and rice for puppy’s dinner, and maybe a Christmas movie on the boob tube. I hope you are having a lovely weekend.
A multiple vitamin of a name brand? That is a poignant gift. I didn’t feel great after my shingles vaccine but my mom got shingles not too long after that; seeing what she went through made me very glad that I’d gotten the shots. That former pet duck reminds me of Louise Penny’s Ruth if you read that series.
Poignant indeed. I left the tag there for awhile, but it bugged me and I had to go back and get it. My dad had shingles and shockingly it was not painful for him. Everyone else I know who has had it says it is horrific. I don’t know what series that is, but Larry is a funny looking guy. He’s the size of a goose.
Beckett @ Birchwood Pie
My stepsons are crazy about chewable vitamins if that’s any help. It’s hard to know what some else’s definition of a good vitamin is.
My husband got his first shingles vaccine on Friday so we had a very low key weekend! He never had a bad reaction to the COVID shots but this one took him down.
I know the work routine of having the rest of my team on the other side of the world. Fridays are great but I have to get everything ready to go for them to start on Mondays.
My daughter also loves the gummy vitamins, I think I will do that, and fill in the gift with a few other nice things. As you said, hard to know what is nice for someone else, but maybe some socks and chocolates or something.
I’ve heard the 2nd shingles vaccine is worse than the first. That was true for me, but I only had a sore arm with the first. The second, I just didn’t feel quite right. I generally don’t have big reactions to vaccines, though. I think my immune system is lazy.
Nicole MacPherson
I think any teen multivitamin would work well – my own teens use One A Day, and we have never had an issue. I usually give them extra vitamin D, especially in winter. I don’t think One A Day has quite enough for us.
I had a friend who got shingles on her face, and it was a miracle she didn’t lose eyesight! It is terrible. Glad you got your vaccine.
Good idea on the extra vitamin D! I’ll keep my eyes out, and see if some have more than others, or maybe throw in some D on the side.
Ack, shingles on her face? Horrible. Glad she didn’t lose her sight.
A family member had shingles and it was terrible! My husband had the start of it, but they caught it early enough (within 72 hours, I think?) that he was able to go on medication to stave it off.
What a heartwrenching request – I’m so glad you grabbed the tag and are putting so much thought into this gift.
I didn’t know you could stave off shingles, that is great to know! My dad had an interesting case, in that it ws shingles, but it was not painful. That’s the only person I have heard of without pain.
Years ago when my daughter was little, her class sponsored a family, and the mom’s request for her 2 year old was a warm coat. When my daughter got allowance, some of it was put aside for charity, and happily, we were able to find a warm jacket that was just a few dollars more than the amount she had saved. That made her feel really, really good.
I am shook by this request. I works guess a chewable vitamin, as well. Maybe some of those fun chocolate ones that have vitamin D, too. What an interesting (sad) request. I’m glad you went back and grabbed that tag.
Yeah, it got me on a lot of levels. I can’t know the story, but the things that crossed my mind were:
1. Eating Disorder. Is she trying to compensate for nutrition lost because she isn’t eating?
2. Poverty. Is she trying to compensate for nutrition lost because she isn’t eating?
3. Just very health oriented. Is she involved in sports and trying to be her best self? And maybe the other girls on her teams talk about their vitamins?
I hope it’s 3. 1 and 2 were too sad to contemplate.
That rose is spectacular. Ours here are completely gone now, of course; we did have some that lingered into November, thanks to milder weather.
My second shingles vaccine gave me a small reaction. I felt a bit fatigued and under the weather for a day. Far better than shingles, of course, for most people. I’ve heard horror stories from friends and family.
Like you, I hope the gift request of vitamins isn’t as dire or poignant as it seems.
Thanks Nance,
The rose garden at the park is definitely in the ‘lingerers’ mode, not spectacular like summer, but still very pretty.
I would say my reaction to the 2nd shingles vaccine was about like yours. I was a little blah on Saturday, but felt fine on Sunday. Ted is dreading it, he generally has pretty strong reactions to vaccines.
Regarding the vitamin request…yeah, it’s still getting to me. Who knows, perhaps she is getting all of the vitamins and minerals she needs through diet, as most people do. Perhaps this is just a small luxury she has always wanted. I know they were a luxury for me growing up. We were never hungry, but there wasn’t extra money laying around very often.
Well, now I really want the backstory on the vitamin request! I like your idea to do a good gummy vitamin and fill it in with a couple other things. I hope that girl is okay.
I’m also concerned about Larry- how is he fitting in with the other ducks? Is he happier now or does he miss his family? Your post has a lot of mysterious elements.
Jenny, regarding the girl…YES, I HOPE SHE IS OK. So worrisome.
Regarding Larry, I sometimes see him near the geese. He is so much bigger than the ducks, I think they avoid him. Poor Larry, once a pet, now on his own. I could write a children’s book about his adventures, perhaps, and sell it (very) locally.
Funny, I did three non-covid vaccines last Wednesday, including shingles and tetanus. It’s good that people are catching up on this stuff.
Man, I was wiped out on Thursday. Couldn’t get warm. Think my immune system was catching up. Cool about the duck, too. I have a friend in Concord who often talks about the waterfowl like this he spots out there.
Three vaccines in one day? Your immune system was definitely trying to catch up! I hate tetanus shots, my arm is always SO SORE. I’m glad they’re only every 10 years.
I’d probably ask a pharmacist for vitamin advice. Good for you for getting gifts for these kids. My friend works with foster youth and they have heartbreaking stories.
You have a lovely park nearby and I am glad you met Larry. He has his own story to tell!
How your eye, btw? I
San, asking a pharmacist seems like a good idea. I went ahead with One a Day gummies, and some vitamin D/calcium chews.
Larry looks like a character, doesn’t he?
My eye is 100% better, thank goodness. That was a mess, wasn’t it? Oddly, my ankle was fine for a week, and now it is bugging me a bit. That can’t be injury right, if it was fine? I have Rheumatoid Arthritis and that can mean inflammation popping up at any time. Plus as I get older, regular arthritis, which is sometimes aggravated by strain or injury. I suspect a bit of regular arthritis popping up and giving me grief. It’s not bad, it doesn’t stop me from walking 3-4 miles a day. It hurts when I’ve been sitting or asleep, it gets stiff. Sigh.